(Work order)
Now print all of the block below word for word.
(Source)
+++
This record from the Materials Project describes crystalline PrSi2Ag2 at its relaxed geometry. The functional is meta-GGA r2SCAN.

Computed properties:
**DFT total energy**: -1.35228 Ry/atom
**Calculated formation energy**: -0.47 eV/atom

The structure in CIF format:
```
data_PrSi2Ag2
_chemical_formula_sum 'Pr2 Si4 Ag4'
_space_group_name_H-M_alt 'I 4/m m m'
_space_group_IT_number 139
_space_group_name_Hall '-I 4 2'
_cell_length_a 4.252
_cell_length_b 4.252
_cell_length_c 10.680
_cell_angle_alpha 90.00
_cell_angle_beta 90.00
_cell_angle_gamma 90.00
loop_
_atom_site_label
_atom_site_type_symbol
_atom_site_fract_x
_atom_site_fract_y
_atom_site_fract_z
Pr1 Pr 0.000 0.000 0.000
Si1 Si 0.000 0.000 0.391
Ag1 Ag 0.000 0.500 0.250
```



This record from the Materials Project describes crystalline CeZn at its relaxed geometry. The functional is meta-GGA r2SCAN.

Computed properties:
**DFT total energy**: -1.47441 Ry/atom
**Calculated formation energy**: -0.18 eV/atom

The structure in CIF format:
```
data_CeZn
_chemical_formula_sum 'Ce1 Zn1'
_space_group_name_H-M_alt 'P m -3 m'
_space_group_IT_number 221
_space_group_name_Hall '-P 4 2 3'
_cell_length_a 3.627
_cell_length_b 3.627
_cell_length_c 3.627
_cell_angle_alpha 90.00
_cell_angle_beta 90.00
_cell_angle_gamma 90.00
loop_
_atom_site_label
_atom_site_type_symbol
_atom_site_fract_x
_atom_site_fract_y
_atom_site_fract_z
Ce1 Ce 0.000 0.000 0.000
Zn1 Zn 0.500 0.500 0.500
```



This record from the Materials Project describes crystalline SmCuSi at its relaxed geometry. The functional is meta-GGA r2SCAN.

Computed properties:
**DFT total energy**: -1.26085 Ry/atom
**Calculated formation energy**: -0.70 eV/atom

The structure in CIF format:
```
data_SmCuSi
_chemical_formula_sum 'Sm2 Cu2 Si2'
_space_group_name_H-M_alt 'P 63/m m c'
_space_group_IT_number 194
_space_group_name_Hall '-P 6c 2c'
_cell_length_a 4.1511
_cell_length_b 4.1511
_cell_length_c 7.8701
_cell_angle_alpha 90.00
_cell_angle_beta 90.00
_cell_angle_gamma 120.00
loop_
_atom_site_label
_atom_site_type_symbol
_atom_site_fract_x
_atom_site_fract_y
_atom_site_fract_z
Sm1 Sm 0.0000 0.0000 0.0000
Cu1 Cu 0.3333 0.6667 0.2500
Si1 Si 0.3333 0.6667 0.7500
```



This record from the Materials Project describes crystalline NaLaTl2 at its relaxed geometry. The functional is meta-GGA r2SCAN.

Computed properties:
**DFT total energy**: -2.59558 Ry/atom
**Calculated formation energy**: -0.40 eV/atom

The structure in CIF format:
```
data_NaLaTl2
_chemical_formula_sum 'Na4 La4 Tl8'
_space_group_name_H-M_alt 'F m -3 m'
_space_group_IT_number 225
_space_group_name_Hall '-F 4 2 3'
_cell_length_a 7.719
_cell_length_b 7.719
_cell_length_c 7.719
_cell_angle_alpha 90.00
_cell_angle_beta 90.00
_cell_angle_gamma 90.00
loop_
_atom_site_label
_atom_site_type_symbol
_atom_site_fract_x
_atom_site_fract_y
_atom_site_fract_z
Na1 Na 0.000 0.000 0.000
La1 La 0.000 0.000 0.500
Tl1 Tl 0.250 0.250 0.250
```
+++
(Here it is)
This record from the Materials Project describes crystalline PrSi2Ag2 at its relaxed geometry. The functional is meta-GGA r2SCAN.

Computed properties:
**DFT total energy**: -1.35228 Ry/atom
**Calculated formation energy**: -0.47 eV/atom

The structure in CIF format:
```
data_PrSi2Ag2
_chemical_formula_sum 'Pr2 Si4 Ag4'
_space_group_name_H-M_alt 'I 4/m m m'
_space_group_IT_number 139
_space_group_name_Hall '-I 4 2'
_cell_length_a 4.252
_cell_length_b 4.252
_cell_length_c 10.680
_cell_angle_alpha 90.00
_cell_angle_beta 90.00
_cell_angle_gamma 90.00
loop_
_atom_site_label
_atom_site_type_symbol
_atom_site_fract_x
_atom_site_fract_y
_atom_site_fract_z
Pr1 Pr 0.000 0.000 0.000
Si1 Si 0.000 0.000 0.391
Ag1 Ag 0.000 0.500 0.250
```



This record from the Materials Project describes crystalline CeZn at its relaxed geometry. The functional is meta-GGA r2SCAN.

Computed properties:
**DFT total energy**: -1.47441 Ry/atom
**Calculated formation energy**: -0.18 eV/atom

The structure in CIF format:
```
data_CeZn
_chemical_formula_sum 'Ce1 Zn1'
_space_group_name_H-M_alt 'P m -3 m'
_space_group_IT_number 221
_space_group_name_Hall '-P 4 2 3'
_cell_length_a 3.627
_cell_length_b 3.627
_cell_length_c 3.627
_cell_angle_alpha 90.00
_cell_angle_beta 90.00
_cell_angle_gamma 90.00
loop_
_atom_site_label
_atom_site_type_symbol
_atom_site_fract_x
_atom_site_fract_y
_atom_site_fract_z
Ce1 Ce 0.000 0.000 0.000
Zn1 Zn 0.500 0.500 0.500
```



This record from the Materials Project describes crystalline SmCuSi at its relaxed geometry. The functional is meta-GGA r2SCAN.

Computed properties:
**DFT total energy**: -1.26085 Ry/atom
**Calculated formation energy**: -0.70 eV/atom

The structure in CIF format:
```
data_SmCuSi
_chemical_formula_sum 'Sm2 Cu2 Si2'
_space_group_name_H-M_alt 'P 63/m m c'
_space_group_IT_number 194
_space_group_name_Hall '-P 6c 2c'
_cell_length_a 4.1511
_cell_length_b 4.1511
_cell_length_c 7.8701
_cell_angle_alpha 90.00
_cell_angle_beta 90.00
_cell_angle_gamma 120.00
loop_
_atom_site_label
_atom_site_type_symbol
_atom_site_fract_x
_atom_site_fract_y
_atom_site_fract_z
Sm1 Sm 0.0000 0.0000 0.0000
Cu1 Cu 0.3333 0.6667 0.2500
Si1 Si 0.3333 0.6667 0.7500
```



This record from the Materials Project describes crystalline NaLaTl2 at its relaxed geometry. The functional is meta-GGA r2SCAN.

Computed properties:
**DFT total energy**: -2.59558 Ry/atom
**Calculated formation energy**: -0.40 eV/atom

The structure in CIF format:
```
data_NaLaTl2
_chemical_formula_sum 'Na4 La4 Tl8'
_space_group_name_H-M_alt 'F m -3 m'
_space_group_IT_number 225
_space_group_name_Hall '-F 4 2 3'
_cell_length_a 7.719
_cell_length_b 7.719
_cell_length_c 7.719
_cell_angle_alpha 90.00
_cell_angle_beta 90.00
_cell_angle_gamma 90.00
loop_
_atom_site_label
_atom_site_type_symbol
_atom_site_fract_x
_atom_site_fract_y
_atom_site_fract_z
Na1 Na 0.000 0.000 0.000
La1 La 0.000 0.000 0.500
Tl1 Tl 0.250 0.250 0.250
```